[Source]
~~~
(1)
Here is a cluster of 3 separate species, C14H27N4O6 in total at a distorted geometry from the Open Molecules 2025 dataset. Energies are from ωB97M-V/def2-TZVPD.

HOMO level: -12.5 eV
Frontier orbital gap: 7.64 eV
Energy relative to the best compared isomer or geometry (same formula, charge and spin): 0.083 eV
E: -1219.7462 Ha
Net charge: +1

```
51
Properties=species:S:1:pos:R:3:forces:R:3:nbo_charge:R:1
C -3.299 3.489 1.783 0.25 1.25 1.12 -0.442
N -2.951 2.025 1.634 -0.34 0.39 -2.23 -0.666
C -2.556 1.653 0.221 -0.72 0.07 -0.28 -0.039
N -1.041 1.365 0.275 -0.81 -0.13 -0.17 -0.804
C -0.351 0.666 -0.686 1.75 -1.00 -1.39 0.833
N 0.280 1.486 -1.808 0.71 -2.19 5.12 -0.557
C 1.716 0.985 -2.064 0.82 -1.57 -0.98 -0.261
C 2.245 0.055 -0.817 0.21 -0.35 -0.76 -0.467
C 1.253 -1.270 -0.756 1.75 0.10 -1.71 -0.256
N -0.218 -0.855 -0.549 1.55 5.30 1.38 -0.569
H -2.764 3.860 2.782 -1.38 -0.62 -2.08 0.201
H -4.460 3.693 1.881 2.43 -0.39 -0.33 0.219
H -2.838 4.169 0.922 -1.10 -1.75 1.72 0.212
H -3.675 1.388 2.034 0.87 0.91 -0.74 0.399
H -2.730 2.520 -0.574 0.28 -1.68 1.92 0.201
H -3.114 0.709 -0.208 1.19 1.71 1.09 0.212
H -0.517 1.681 1.123 -0.79 -0.58 -1.08 0.459
H 0.436 2.444 -1.374 -1.15 -1.34 -0.68 0.411
H 1.620 0.296 -3.030 0.60 1.53 2.04 0.228
H 2.454 1.886 -2.290 -1.89 -1.84 0.50 0.254
H 2.297 0.611 0.220 -0.38 -0.97 -2.02 0.248
H 3.359 -0.265 -1.075 -2.48 0.44 0.53 0.264
H 1.645 -1.998 0.073 -1.24 1.39 -1.54 0.261
H 1.295 -1.784 -1.827 0.10 0.94 2.52 0.225
H -0.460 -1.037 0.472 -0.07 0.39 -1.71 0.426
C 1.243 4.218 5.154 0.38 0.11 -0.17 -0.629
C 0.551 3.060 4.465 0.05 1.42 0.81 0.061
C 0.027 2.022 5.410 -0.67 0.25 0.72 -0.099
O 0.036 0.851 4.612 0.87 -0.32 -1.12 -0.476
C 1.021 1.027 3.682 0.59 -1.27 -0.73 0.970
O 1.446 0.149 2.950 -0.94 1.64 1.02 -0.613
O 1.472 2.318 3.682 -0.18 -1.47 -0.46 -0.488
H 0.531 4.815 5.733 0.04 -0.11 -0.12 0.232
H 2.031 3.864 5.827 -0.21 -0.05 -0.07 0.227
H 1.730 4.865 4.417 -0.21 -0.03 0.10 0.233
H -0.235 3.433 3.797 -0.03 -0.10 0.07 0.176
H -0.986 2.245 5.758 0.14 -0.21 -0.12 0.214
H 0.673 1.853 6.278 0.02 0.17 -0.12 0.197
C 0.026 -3.602 -3.320 -0.16 0.39 -0.13 -0.630
C -0.238 -4.784 -4.229 -0.04 0.69 1.00 0.058
C 0.923 -5.725 -4.346 0.34 -0.61 0.58 -0.096
O 0.718 -6.304 -5.624 -0.44 0.50 -0.57 -0.477
C 0.033 -5.378 -6.360 -0.37 -0.27 -3.00 0.959
O -0.149 -5.450 -7.564 0.44 0.19 2.97 -0.556
O -0.417 -4.357 -5.570 0.25 -0.58 -0.61 -0.489
H 0.132 -3.920 -2.278 -0.06 -0.06 -0.13 0.217
H 0.937 -3.070 -3.617 -0.02 -0.22 -0.07 0.207
H -0.793 -2.878 -3.387 0.02 -0.18 0.10 0.229
H -1.152 -5.305 -3.916 0.14 -0.04 -0.01 0.189
H 0.918 -6.494 -3.568 0.02 0.00 -0.27 0.208
H 1.896 -5.223 -4.347 -0.13 0.13 0.08 0.182
```
Positions in Å, forces in eV/Å.

(2)
Here is the molecule C14H27NO10P2S at a distorted geometry from the Open Molecules 2025 dataset. Energies are from ωB97M-V/def2-TZVPD.

HOMO level: -9.2 eV
Frontier orbital gap: 8.88 eV
Energy relative to the best compared isomer or geometry (same formula, charge and spin): 4.842 eV
E: -2437.5095 Ha
SMILES: COCCC[C@@]1(S(C)(=O)=O)C(=O)O[C@@](N=C(C)C)(P(=O)(O)O)[C@@]1(COC)[PH2]=O
Net charge: 0

```
55
Properties=species:S:1:pos:R:3:forces:R:3:nbo_charge:R:1
C -4.047 -3.686 0.666 -0.45 0.39 1.56 -0.264
O -3.904 -2.466 -0.099 0.34 -1.68 -1.25 -0.552
C -3.546 -2.707 -1.471 -0.24 0.62 -1.08 -0.058
C -2.245 -1.906 -1.964 -0.12 0.03 -0.86 -0.436
C -2.113 -0.425 -1.346 -0.43 -0.15 -0.74 -0.458
C -0.923 -0.212 -0.303 1.00 -0.47 0.23 -0.383
S -1.760 0.600 1.151 -1.37 -1.53 6.89 2.023
C -2.900 1.989 0.739 0.46 1.85 -0.63 -0.843
O -2.629 -0.487 1.776 1.70 2.39 -2.83 -0.920
O -0.838 1.072 2.241 -0.95 -0.18 -3.29 -0.923
C -0.270 -1.505 0.441 -0.60 -1.58 1.05 0.819
O -0.703 -2.640 0.632 1.46 3.93 -0.86 -0.500
O 0.978 -1.083 0.967 -1.15 -1.04 -0.30 -0.560
C 1.639 0.018 0.274 -4.00 1.13 0.04 0.062
N 1.840 1.310 0.937 3.25 -3.17 0.94 -0.602
C 2.569 1.246 2.039 0.66 1.00 0.39 0.543
C 2.245 0.449 3.369 0.29 -0.75 -0.04 -0.750
C 3.927 2.125 2.048 -1.63 0.64 0.82 -0.707
~~~
[Exercise]
It remains to write out the whole of the entries further up without additions.
[Reply]
(1)
Here is a cluster of 3 separate species, C14H27N4O6 in total at a distorted geometry from the Open Molecules 2025 dataset. Energies are from ωB97M-V/def2-TZVPD.

HOMO level: -12.5 eV
Frontier orbital gap: 7.64 eV
Energy relative to the best compared isomer or geometry (same formula, charge and spin): 0.083 eV
E: -1219.7462 Ha
Net charge: +1

```
51
Properties=species:S:1:pos:R:3:forces:R:3:nbo_charge:R:1
C -3.299 3.489 1.783 0.25 1.25 1.12 -0.442
N -2.951 2.025 1.634 -0.34 0.39 -2.23 -0.666
C -2.556 1.653 0.221 -0.72 0.07 -0.28 -0.039
N -1.041 1.365 0.275 -0.81 -0.13 -0.17 -0.804
C -0.351 0.666 -0.686 1.75 -1.00 -1.39 0.833
N 0.280 1.486 -1.808 0.71 -2.19 5.12 -0.557
C 1.716 0.985 -2.064 0.82 -1.57 -0.98 -0.261
C 2.245 0.055 -0.817 0.21 -0.35 -0.76 -0.467
C 1.253 -1.270 -0.756 1.75 0.10 -1.71 -0.256
N -0.218 -0.855 -0.549 1.55 5.30 1.38 -0.569
H -2.764 3.860 2.782 -1.38 -0.62 -2.08 0.201
H -4.460 3.693 1.881 2.43 -0.39 -0.33 0.219
H -2.838 4.169 0.922 -1.10 -1.75 1.72 0.212
H -3.675 1.388 2.034 0.87 0.91 -0.74 0.399
H -2.730 2.520 -0.574 0.28 -1.68 1.92 0.201
H -3.114 0.709 -0.208 1.19 1.71 1.09 0.212
H -0.517 1.681 1.123 -0.79 -0.58 -1.08 0.459
H 0.436 2.444 -1.374 -1.15 -1.34 -0.68 0.411
H 1.620 0.296 -3.030 0.60 1.53 2.04 0.228
H 2.454 1.886 -2.290 -1.89 -1.84 0.50 0.254
H 2.297 0.611 0.220 -0.38 -0.97 -2.02 0.248
H 3.359 -0.265 -1.075 -2.48 0.44 0.53 0.264
H 1.645 -1.998 0.073 -1.24 1.39 -1.54 0.261
H 1.295 -1.784 -1.827 0.10 0.94 2.52 0.225
H -0.460 -1.037 0.472 -0.07 0.39 -1.71 0.426
C 1.243 4.218 5.154 0.38 0.11 -0.17 -0.629
C 0.551 3.060 4.465 0.05 1.42 0.81 0.061
C 0.027 2.022 5.410 -0.67 0.25 0.72 -0.099
O 0.036 0.851 4.612 0.87 -0.32 -1.12 -0.476
C 1.021 1.027 3.682 0.59 -1.27 -0.73 0.970
O 1.446 0.149 2.950 -0.94 1.64 1.02 -0.613
O 1.472 2.318 3.682 -0.18 -1.47 -0.46 -0.488
H 0.531 4.815 5.733 0.04 -0.11 -0.12 0.232
H 2.031 3.864 5.827 -0.21 -0.05 -0.07 0.227
H 1.730 4.865 4.417 -0.21 -0.03 0.10 0.233
H -0.235 3.433 3.797 -0.03 -0.10 0.07 0.176
H -0.986 2.245 5.758 0.14 -0.21 -0.12 0.214
H 0.673 1.853 6.278 0.02 0.17 -0.12 0.197
C 0.026 -3.602 -3.320 -0.16 0.39 -0.13 -0.630
C -0.238 -4.784 -4.229 -0.04 0.69 1.00 0.058
C 0.923 -5.725 -4.346 0.34 -0.61 0.58 -0.096
O 0.718 -6.304 -5.624 -0.44 0.50 -0.57 -0.477
C 0.033 -5.378 -6.360 -0.37 -0.27 -3.00 0.959
O -0.149 -5.450 -7.564 0.44 0.19 2.97 -0.556
O -0.417 -4.357 -5.570 0.25 -0.58 -0.61 -0.489
H 0.132 -3.920 -2.278 -0.06 -0.06 -0.13 0.217
H 0.937 -3.070 -3.617 -0.02 -0.22 -0.07 0.207
H -0.793 -2.878 -3.387 0.02 -0.18 0.10 0.229
H -1.152 -5.305 -3.916 0.14 -0.04 -0.01 0.189
H 0.918 -6.494 -3.568 0.02 0.00 -0.27 0.208
H 1.896 -5.223 -4.347 -0.13 0.13 0.08 0.182
```
Positions in Å, forces in eV/Å.

(2)
Here is the molecule C14H27NO10P2S at a distorted geometry from the Open Molecules 2025 dataset. Energies are from ωB97M-V/def2-TZVPD.

HOMO level: -9.2 eV
Frontier orbital gap: 8.88 eV
Energy relative to the best compared isomer or geometry (same formula, charge and spin): 4.842 eV
E: -2437.5095 Ha
SMILES: COCCC[C@@]1(S(C)(=O)=O)C(=O)O[C@@](N=C(C)C)(P(=O)(O)O)[C@@]1(COC)[PH2]=O
Net charge: 0

```
55
Properties=species:S:1:pos:R:3:forces:R:3:nbo_charge:R:1
C -4.047 -3.686 0.666 -0.45 0.39 1.56 -0.264
O -3.904 -2.466 -0.099 0.34 -1.68 -1.25 -0.552
C -3.546 -2.707 -1.471 -0.24 0.62 -1.08 -0.058
C -2.245 -1.906 -1.964 -0.12 0.03 -0.86 -0.436
C -2.113 -0.425 -1.346 -0.43 -0.15 -0.74 -0.458
C -0.923 -0.212 -0.303 1.00 -0.47 0.23 -0.383
S -1.760 0.600 1.151 -1.37 -1.53 6.89 2.023
C -2.900 1.989 0.739 0.46 1.85 -0.63 -0.843
O -2.629 -0.487 1.776 1.70 2.39 -2.83 -0.920
O -0.838 1.072 2.241 -0.95 -0.18 -3.29 -0.923
C -0.270 -1.505 0.441 -0.60 -1.58 1.05 0.819
O -0.703 -2.640 0.632 1.46 3.93 -0.86 -0.500
O 0.978 -1.083 0.967 -1.15 -1.04 -0.30 -0.560
C 1.639 0.018 0.274 -4.00 1.13 0.04 0.062
N 1.840 1.310 0.937 3.25 -3.17 0.94 -0.602
C 2.569 1.246 2.039 0.66 1.00 0.39 0.543
C 2.245 0.449 3.369 0.29 -0.75 -0.04 -0.750
C 3.927 2.125 2.048 -1.63 0.64 0.82 -0.707